Assignment:
Could you work out how many lines further down have the word "C47H40BaBrF5N11O3P2S2" in them; a number is enough?

Excerpt:
+++
i.
Entry from the OMol25 dataset: C47H40BaBrF5N11O3P2S2 as an isolated structure (wB97M-V/def2-TZVPD).

```
! RIJCOSX wB97M-V def2-TZVPD def2/J DEFGRID3
* xyz -1 1
Ba 0.0517 -0.3882 -0.2601
Br 1.3705 1.1549 3.2091
S -2.8144 -0.7280 0.8811
S 0.1350 -1.7548 2.5089
P 1.4972 3.1597 0.6200
P -1.2994 -0.8394 -3.3253
F 5.7193 0.0100 3.9963
F 1.9058 6.1605 1.6436
F 1.8897 2.6412 5.7577
F 2.2435 5.2647 6.2010
F 2.2346 7.0111 4.1286
O 2.2881 -3.7927 -2.6634
O 2.5541 -0.8518 0.4251
O 0.9859 -2.4307 -1.4444
N -0.5370 -2.0171 -5.7346
N 8.7906 -3.5475 5.6498
N -4.9383 -2.3659 3.3645
N 1.2656 1.6397 -2.0359
N -2.8164 -1.1041 -5.6464
N 0.7757 4.1453 -5.5643
N -1.6834 -3.4205 5.1865
N -2.2793 -3.1917 -4.4685
N 0.0902 2.2605 -4.1099
N 5.2989 -3.8476 0.0553
N 7.4621 -2.1850 4.1067
C 3.9581 4.4607 -0.1023
C 5.5953 -0.9591 3.0604
C -0.5270 5.0242 0.3049
C 8.1309 -2.4361 6.4117
C 4.5010 -1.8753 1.1498
C -1.9750 -2.5662 -3.1750
C -2.5874 -0.2103 -4.5043
C -0.9081 6.3645 -1.6520
C 5.2617 2.0376 -0.4562
C -1.6423 -2.8205 4.2023
C 1.8792 3.4710 4.7089
C 1.0127 4.9219 -1.5346
C 0.7324 1.9525 -3.0287
C -1.5913 -1.2818 -6.4257
C 7.6988 -4.8889 -0.0812
C 2.0556 5.7065 3.8986
C -2.6580 -1.6727 2.3403
C 6.2149 -4.9249 -0.2582
C -1.0744 -3.3007 -5.2890
C -1.2910 5.9528 -0.3821
C 3.9173 2.0606 -0.1085
C 7.1237 -1.7631 5.4556
C 3.2544 3.2699 0.0833
C -0.0106 -1.2477 -4.6008
C 8.8576 -1.9353 3.8076
C 1.6981 3.8869 2.3255
C 5.4372 -2.9175 1.0757
C 4.2048 -3.7593 -0.7687
C 6.8499 -5.8560 0.7262
C 0.4881 3.2754 -4.8508
C 2.0617 4.8189 4.9548
C 1.6905 3.0089 3.4179
C 2.0547 -3.0366 -1.7165
C 9.6807 -2.9945 4.5711
C 0.2390 5.8422 -2.2293
C 3.3192 -1.7964 0.2626
C 6.4913 -2.0242 3.0715
C 5.9550 3.2251 -0.6287
C 1.8806 5.2330 2.6097
C 4.5937 -0.8979 2.1380
C -1.5198 -2.0600 2.9871
C 3.2088 -2.8485 -0.7104
C -3.2739 -2.4202 -5.2051
C 0.6433 4.5141 -0.2565
C -3.9172 -2.0632 2.9245
C 6.4169 -2.9847 2.0793
C 5.2985 4.4376 -0.4562
H -4.1604 -2.2952 -4.5795
H 6.1063 -2.0840 5.6753
H 5.8294 5.3695 -0.6068
H 0.5241 6.1242 -3.2345
H 8.1400 -4.0413 0.4197
H -1.3261 -3.8865 -6.1788
H 9.9687 -3.8317 3.9378
H 5.8855 -5.4003 -1.1689
H 7.1723 -0.6814 5.6032
H 10.5654 -2.5845 5.0542
H 1.8916 4.5036 -2.0059
H -2.2657 0.7679 -4.8676
H -0.8480 4.6888 1.2860
H 5.7579 1.0874 -0.6157
H 8.9268 -1.7624 6.7239
H 4.1299 -4.5043 -1.5513
H -2.8765 -2.5449 -2.5573
H 6.9996 3.2103 -0.9155
H 8.0413 -4.0559 5.1700
H 6.7055 -5.6780 1.7814
H 6.8729 -6.9027 0.4581
H -1.5146 7.0750 -2.1993
H -1.2311 -3.1685 -2.6492
H -3.5275 -0.0705 -3.9643
H 0.7789 -1.8240 -4.1121
H -0.3043 -3.8267 -4.7219
H 0.4212 -0.3147 -4.9666
H 7.6538 -2.8541 7.2946
H 9.1666 -0.9243 4.1037
H 9.0296 -2.0341 2.7390
H 7.1082 -3.8082 2.1459
H -1.2096 -0.2998 -6.7130
H -1.8507 -1.8379 -7.3319
H 3.8505 -0.1092 2.1651
H -3.5522 -2.9919 -6.0959
H -2.1962 6.3413 0.0674
H 3.4552 5.4087 0.0120
H 8.2976 -5.2831 -0.8899
H 3.3659 1.1328 -0.0107
H 9.2979 -4.1828 6.2616
*
```

The calculation puts the HOMO-LUMO gap at 0.0940 Eh. The value obtained for the highest occupied orbital energy is -0.12310 Eh.

Atom charges from the Löwdin analysis, given in e for atoms 1 to 2: 1.382, 0.822



ii.
Entry from the OMol25 dataset: C47H40BaBrF5N11O3P2S2 as an isolated structure (wB97M-V/def2-TZVPD).

```
! RIJCOSX wB97M-V def2-TZVPD def2/J DEFGRID3
* xyz -1 1
Ba 1.6847 -1.3471 0.8473
Br 2.4711 -2.2624 -2.9664
S 3.3277 1.3719 1.3737
S 4.8168 -1.5911 -0.0426
P 3.0494 -4.2878 1.9695
P 2.3002 0.9947 -2.1780
F 2.3315 1.8610 -7.3162
F -4.0575 1.6206 -2.3480
F 2.5195 -0.7865 -7.8923
F 2.2070 2.6732 -4.7807
F 2.5765 -2.5971 -5.9245
O 0.4541 -1.5191 2.9653
O -1.0141 -1.6641 4.6590
O -0.5774 -0.0389 0.6527
N 0.1575 -3.1803 -0.4101
N 6.5234 2.5779 2.5014
N -3.8226 -4.4677 -1.0520
N 2.6798 -6.8306 3.0573
N 3.6027 -6.7546 0.7815
N 5.0078 -6.1345 2.6913
N 8.0920 -0.6338 1.1152
N -1.4534 -5.0509 -0.5363
N -7.3111 4.8873 -0.4392
N -3.6778 0.9058 3.0867
N -5.9808 2.8445 -0.7209
C -2.8231 0.9068 -0.4740
C 3.7534 3.4608 -2.2485
C 3.7723 2.0742 -2.1328
C -4.8367 1.8855 1.1818
+++

Response:
2